Historic Settlement Forces California Hospital to Refund Patients, Meet Obligations to Provide Charity Care
By Consumers for Quality Care, on August 30, 2023

Santa Clara Valley Medical Center (SCVMC), California’s largest public hospital, is preparing to alert roughly 43,000 former patients that they may qualify for refunds or billing corrections, according to a report from KFF Health News. These steps are being taken as part of a key legal settlement meant to compel the hospital to meet its charity-care obligations.
Helen Tran, a senior attorney at the Western Center on Law & Poverty, called the announcement “huge.” “It’s so important that the hospital is stepping up to take corrective action,” she said. “That’s something we haven’t seen many hospitals do.”
In 2019, her organization and the Consumer Law Center sued SCVMC, alleging that the hospital often billed patients for care that should have been offered for free or at a discount. The resulting settlement is now forcing SCVMC to reconcile matters with its former patients. Besides sending out refunds, the hospital must also create new procedures to inform patients going forward of their potential charity-care eligibility.
Had these procedures been in place years ago, it would have benefited patients like Emily Hepner. Emily had surgery at Santa Clara Valley Medical Center in 2014. At the time, she was uninsured, a full-time student, and a single mother to two young children. Although she qualified for charity care, the hospital never informed her that she was eligible for it. The hospital eventually billed her $34,884 for her care and took her to court when she couldn’t pay.
In a reversal of fate, Emily joined the recent lawsuit against the hospital as a plaintiff, making her part of the winning effort to end SCVMC’s predatory practices.
### Materials data that have nothing to do with the article
+++
Here is a geometry-optimized CrF5 structure from Materials Project. Energies are from PBE+U.

Output
calculated formation energy	-2.003	eV per atom
corrected total energy (MP2020 scheme)	-0.191	hartree per atom
SG	Immm (71)

abc: 5.8154 5.8154 5.8154
angles: 149.82 97.92 89.87
Closest atoms and distances in Å follow each position.
Fractional coordinates of all 6 atoms:
F: 0.2151 0.2151 0.0000  1 Cr 1.77
F: 0.1597 0.5000 0.6597  2 Cr 1.94
F: 0.7849 0.7849 0.0000  1 Cr 1.77
F: 0.8403 0.5000 0.3403  2 Cr 1.94
Cr: 0.0000 0.0000 0.0000  6 F 1.77-1.94
F: 0.5000 0.0000 0.5000  10 F 2.79-3.03

* * * * *

i.
BaZn2H16O11 after structural relaxation, computed with PBE-GGA.

CIF file:
```
data_BaZn2H16O11
_chemical_formula_sum 'Ba4 Zn8 H64 O44'
_cell_length_a 6.385
_cell_length_b 18.503
_cell_length_c 12.244
_cell_angle_alpha 90.00
_cell_angle_beta 96.22
_cell_angle_gamma 90.00
_space_group_name_H-M_alt 'P 1 21/c 1'
_space_group_IT_number 14
loop_
_space_group_symop_operation_xyz
'x,y,z'
'-x,-y,-z'
'-x,y+1/2,-z+1/2'
'x,-y+1/2,z+1/2'
loop_
_atom_site_label
_atom_site_fract_x
_atom_site_fract_y
_atom_site_fract_z
Ba1 0.073 0.060 0.270
Zn1 0.404 0.652 0.076
Zn2 0.411 0.202 0.947
H1 0.057 0.230 0.482
H2 0.126 0.135 0.844
H3 0.153 0.215 0.120
H4 0.154 0.655 0.082
H5 0.216 0.222 0.252
H6 0.262 0.061 0.065
H7 0.272 0.049 0.857
H8 0.272 0.600 0.427
H9 0.333 0.555 0.623
H10 0.361 0.059 0.104
H11 0.368 0.189 0.575
H12 0.401 0.707 0.872
H13 0.411 0.589 0.737
H14 0.438 0.087 0.388
H15 0.467 0.663 0.366
H16 0.496 0.234 0.366
O1 0.028 0.623 0.862
O2 0.069 0.673 0.801
O3 0.099 0.002 0.512
O4 0.151 0.188 0.197
O5 0.183 0.550 0.423
O6 0.191 0.246 0.522
O7 0.272 0.120 0.863
O8 0.281 0.511 0.337
O9 0.294 0.563 0.697
O10 0.387 0.668 0.429
O11 0.487 0.667 0.904
```



ii.
BaZn2H16O11 after structural relaxation, computed with PBE-GGA.

CIF file:
```
data_BaZn2H16O11
_chemical_formula_sum 'Ba4 Zn8 H64 O44'
_cell_length_a 11.260
_cell_length_b 16.297
_cell_length_c 6.271
_cell_angle_alpha 90.00
_cell_angle_beta 99.39
_cell_angle_gamma 90.00
_space_group_name_H-M_alt 'P 1 21/c 1'
_space_group_IT_number 14
loop_
_space_group_symop_operation_xyz
'x,y,z'
'-x,-y,-z'
'-x,y+1/2,-z+1/2'
'x,-y+1/2,z+1/2'
loop_
_atom_site_label
_atom_site_fract_x
_atom_site_fract_y
_atom_site_fract_z
Ba1 0.154 0.022 0.290
Zn1 0.228 0.708 0.040
Zn2 0.251 0.208 0.997
H1 0.000 0.143 0.591
H2 0.035 0.750 0.106
H3 0.072 0.643 0.439
H4 0.093 0.232 0.203
H5 0.100 0.092 0.748
H6 0.137 0.581 0.303
H7 0.275 0.074 0.839
H8 0.308 0.582 0.187
H9 0.355 0.618 0.745
H10 0.385 0.152 0.558
H11 0.394 0.742 0.833
H12 0.409 0.567 0.571
H13 0.444 0.244 0.905
H14 0.446 0.068 0.615
H15 0.466 0.056 0.208
H16 0.485 0.146 0.124
O1 0.030 0.087 0.623
O2 0.059 0.748 0.964
O3 0.079 0.583 0.412
O4 0.176 0.215 0.264
O5 0.218 0.092 0.930
O6 0.226 0.591 0.113
O7 0.313 0.721 0.783
O8 0.367 0.092 0.558
O9 0.383 0.561 0.714
O10 0.425 0.241 0.052
O11 0.474 0.591 0.339
```



Most stable: ii (next structure +50.6 kJ/mol of atoms)



i.
+++
### The materials data stop here
Increasingly, nonprofit hospitals are coming under scrutiny from policymakers. The growing concern is that these hospitals are shirking their responsibility to provide charity care to eligible patients and in the process adding to America’s ongoing medical debt crisis.
# Here the piece breaks off for crystal structures
=====
# 1
Sr2YTlCo2O7: relaxed, GGA+U.

Output
magnetization	5.3	μB per formula unit
E_form	-2.282	eV per atom

Cell: 3.847 3.847 12.250 Å, 90.00 90.00 90.00°
Sites, in units of the cell vectors:
1 Sr 0.000 0.000 0.206
2 Sr 0.000 0.000 0.794
3 Y 0.000 0.000 0.500
4 Tl 0.500 0.500 0.000
5 Co 0.500 0.500 0.354
6 Co 0.500 0.500 0.646
7 O 0.000 0.000 0.000
8 O 0.000 0.500 0.381
9 O 0.000 0.500 0.619
10 O 0.500 0.000 0.381
11 O 0.500 0.000 0.619
12 O 0.500 0.500 0.181
13 O 0.500 0.500 0.819

---

# 2
Sr2UCoO6: relaxed, GGA+U.

Output
magnetization	1.0	μB per formula unit
E_form	-3.010	eV per atom

Cell: 5.839 5.868 10.085 Å, 90.00 125.02 90.00°
Sites, in units of the cell vectors:
1 Sr 0.238 0.033 0.248
2 Sr 0.238 0.467 0.748
3 Sr 0.762 0.533 0.252
4 Sr 0.762 0.967 0.752
5 U 0.500 0.000 0.000
6 U 0.500 0.500 0.500
7 Co 0.000 0.000 0.500
8 Co 0.000 0.500 0.000
9 O 0.180 0.216 0.960
10 O 0.180 0.284 0.460
11 O 0.241 0.722 0.956
12 O 0.241 0.778 0.456
13 O 0.332 0.019 0.754
14 O 0.332 0.481 0.254
15 O 0.668 0.519 0.746
16 O 0.668 0.981 0.246
17 O 0.759 0.222 0.544
18 O 0.759 0.278 0.044
19 O 0.820 0.716 0.540
20 O 0.820 0.784 0.040
=====
As charitable organizations, nonprofit hospitals are exempt from most taxes. At the same time, however, these hospitals are expected to provide benefits to the public, such as charity care, in exchange for their tax exemptions.
The Affordable Care Act, for example, requires nonprofit hospitals to offer charity care – which the law calls “financial assistance policies” – to retain their tax-exempt status. And under California state law, all acute care hospitals must provide charity care, and individuals earning up to 400% of the federal poverty level are eligible for discounted care. That amounts to more than 4 million California families, according to data from the 2022 American Community Survey.
As to the recent settlement with SCVMC, the hospital’s former patients should be able to retroactively apply for financial support and seek reimbursement alongside having any court judgments revised. Additionally, the broader Santa Clara Valley Healthcare system must promptly alert patients in eight various languages about their charity care policies and any payment discount options.
CQC urges nonprofit hospitals to inform patients when they may be eligible for charity care, and urges policymakers to hold these hospitals accountable when they fail to do so.